**Request**
Your job: find the line below that holds "0.2267", then restate that line and all lines after it there.

**Given**
## Ba2DyUO6 (meta-GGA r2SCAN)

Data for a relaxed Ba2DyUO6 crystal.

Cell: 6.187 6.187 6.187 Å, 60.00 60.00 60.00°
Atoms (fractional coordinates):
Ba: 0.250 0.250 0.250
Ba: 0.750 0.750 0.750
Dy: 0.000 0.000 0.000
U: 0.500 0.500 0.500
O: 0.255 0.255 0.745
O: 0.255 0.745 0.255
O: 0.255 0.745 0.745
O: 0.745 0.255 0.255
O: 0.745 0.255 0.745
O: 0.745 0.745 0.255

Values from the calculation:
The formation energy comes out at -82.3 kcal/mol of atoms. The total energy is -23.65 eV/atom. As for the density: 7.6 g cm⁻³. Its symmetry is No. 225. As for the magnetic moment: 1.00 μB per formula unit.

~~~~~

[1]
First-principles (PBE with a Hubbard U) data for Eu2HfFeO6 after structural relaxation, as listed in the Materials Project.

abc: 5.695 5.695 5.695
angles: 60.00 60.00 60.00
Atoms (fractional coordinates):
1 Eu 0.250 0.250 0.250
2 Eu 0.750 0.750 0.750
3 Hf 0.000 0.000 0.000
4 Fe 0.500 0.500 0.500
5 O 0.254 0.254 0.746
6 O 0.254 0.746 0.254
7 O 0.254 0.746 0.746
8 O 0.746 0.254 0.254
9 O 0.746 0.254 0.746
10 O 0.746 0.746 0.254

Calculated values
The energy relative to the elements is -3.075 eV per atom.



[2]
First-principles (PBE with a Hubbard U) data for PrEuHfFeO6 after structural relaxation, as listed in the Materials Project.

abc: 5.710 5.710 5.710
angles: 60.00 60.00 60.00
Atoms (fractional coordinates):
1 Pr 0.000 0.000 0.000
2 Eu 0.500 0.500 0.500
3 Hf 0.250 0.250 0.250
4 Fe 0.750 0.750 0.750
5 O 0.503 0.503 0.997
6 O 0.503 0.997 0.503
7 O 0.503 0.997 0.997
8 O 0.997 0.503 0.503
9 O 0.997 0.503 0.997
10 O 0.997 0.997 0.503

Calculated values
The energy relative to the elements is -3.151 eV per atom.



[3]
First-principles (PBE with a Hubbard U) data for SmEuHfFeO6 after structural relaxation, as listed in the Materials Project.

abc: 5.699 5.699 5.699
angles: 60.00 60.00 60.00
Atoms (fractional coordinates):
1 Sm 0.000 0.000 0.000
2 Eu 0.500 0.500 0.500
3 Hf 0.250 0.250 0.250
4 Fe 0.750 0.750 0.750
5 O 0.503 0.503 0.997
6 O 0.503 0.997 0.503
7 O 0.503 0.997 0.997
8 O 0.997 0.503 0.503
9 O 0.997 0.503 0.997
10 O 0.997 0.997 0.503

Calculated values
The energy relative to the elements is -3.120 eV per atom.



no.,MP2020-corrected energy (eV for the cell shown),energy (hartree per atom),V (Å³/f.u.)
1,-99.4,-0.342,131
2,-94.7,-0.324,132
3,-94.3,-0.323,131

~~~~~

# 1
Entry from the Materials Project database: crystalline U2H14S2O19 at its relaxed geometry (PBE-GGA).

```
data_U2H14S2O19
_space_group_name_H-M_alt 'P 1'
_space_group_IT_number 1
_space_group_name_Hall 'P 1'
_cell_length_a 6.9156
_cell_length_b 11.4472
_cell_length_c 21.0947
_cell_angle_alpha 90.00
_cell_angle_beta 90.00
_cell_angle_gamma 90.00
loop_
_atom_site_label
_atom_site_type_symbol
_atom_site_fract_x
_atom_site_fract_y
_atom_site_fract_z
U1 U 0.1917 0.0003 0.4208
U2 U 0.8083 0.5003 0.5792
U3 U 0.1917 0.5003 0.0792
U4 U 0.8083 0.0003 0.9208
U5 U 0.7024 0.6125 0.2984
U6 U 0.2976 0.1125 0.7016
U7 U 0.7024 0.1125 0.2016
U8 U 0.2976 0.6125 0.7984
H1 H 0.4785 0.4616 0.2076
H2 H 0.5215 0.9616 0.7924
H3 H 0.4785 0.9616 0.2924
H4 H 0.5215 0.4616 0.7076
H5 H 0.3853 0.4139 0.2733
H6 H 0.6147 0.9139 0.7267
H7 H 0.3853 0.9139 0.2267
H8 H 0.6147 0.4139 0.7733
H9 H 0.3974 0.1813 0.5046
H10 H 0.6026 0.6813 0.4954
H11 H 0.3974 0.6813 0.9954
H12 H 0.6026 0.1813 0.0046
H13 H 0.5396 0.1640 0.4464
H14 H 0.4604 0.6640 0.5536
H15 H 0.5396 0.6640 0.0536
H16 H 0.4604 0.1640 0.9464
H17 H 0.1971 0.2579 0.3140
H18 H 0.8029 0.7579 0.6860
H19 H 0.1971 0.7579 0.1860
H20 H 0.8029 0.2579 0.8140
H21 H 0.2318 0.3658 0.3587
H22 H 0.7682 0.8658 0.6413
H23 H 0.2318 0.8658 0.1413
H24 H 0.7682 0.3658 0.8587
H25 H 0.9639 0.1484 0.5211
H26 H 0.0361 0.6484 0.4789
H27 H 0.9639 0.6484 0.9789
H28 H 0.0361 0.1484 0.0211
H29 H 0.9166 0.1841 0.4499
H30 H 0.0834 0.6841 0.5501
H31 H 0.9166 0.6841 0.0501
H32 H 0.0834 0.1841 0.9499
H33 H 0.8434 0.3954 0.2278
H34 H 0.1566 0.8954 0.7722
H35 H 0.8434 0.8954 0.2722
H36 H 0.1566 0.3954 0.7278
H37 H 0.0073 0.4059 0.2821
H38 H 0.9927 0.9059 0.7179

**Completed**
H7 H 0.3853 0.9139 0.2267
H8 H 0.6147 0.4139 0.7733
H9 H 0.3974 0.1813 0.5046
H10 H 0.6026 0.6813 0.4954
H11 H 0.3974 0.6813 0.9954
H12 H 0.6026 0.1813 0.0046
H13 H 0.5396 0.1640 0.4464
H14 H 0.4604 0.6640 0.5536
H15 H 0.5396 0.6640 0.0536
H16 H 0.4604 0.1640 0.9464
H17 H 0.1971 0.2579 0.3140
H18 H 0.8029 0.7579 0.6860
H19 H 0.1971 0.7579 0.1860
H20 H 0.8029 0.2579 0.8140
H21 H 0.2318 0.3658 0.3587
H22 H 0.7682 0.8658 0.6413
H23 H 0.2318 0.8658 0.1413
H24 H 0.7682 0.3658 0.8587
H25 H 0.9639 0.1484 0.5211
H26 H 0.0361 0.6484 0.4789
H27 H 0.9639 0.6484 0.9789
H28 H 0.0361 0.1484 0.0211
H29 H 0.9166 0.1841 0.4499
H30 H 0.0834 0.6841 0.5501
H31 H 0.9166 0.6841 0.0501
H32 H 0.0834 0.1841 0.9499
H33 H 0.8434 0.3954 0.2278
H34 H 0.1566 0.8954 0.7722
H35 H 0.8434 0.8954 0.2722
H36 H 0.1566 0.3954 0.7278
H37 H 0.0073 0.4059 0.2821
H38 H 0.9927 0.9059 0.7179